NATHAN ADRIAN IS THE OLYMPIC CRUSH AMERICAN NEEDSPerhaps you haven't yet heard of Nathan Adrian, 23, the U.S. swimmer who won the 100-meter freestyle Wednesday, adding a gold medal to his silver for the 4 x 100 meter freestyle relay in 2012, and setting a world record at 47.52 seconds. (This is his second gold, his first being as part of the relay team at Beijing in 2008.) He's been a bit overshadowed by team members Michael Phelps and Ryan Lochte, but we think it's time he's given the attention he deserves, even as we hate to share him. Why to we love him so? Let us count the ways.
He is adorable. Um, have you seen his Twitter avatar? Even for those of us bigger than such superficial things, that is some pretty freaking jaw-dropping anatomical perfection. And the thing is, in the Olympics, this matters! We're all about these "gods" we've sent to compete on the Mount Olympus of London being, well, attractive, too. We're not being shallow, we're just being honest. Anyway, Adrian is one of the taller on the swim team, 6'6" according to the Team USA website, and 220 pounds. (Phelps is 6'4" and 185 pounds, and Lochte is 6'2" and 185 as well.) In the parlance of many a Northeastern girl, Adrian is tall, tall like he hails from Washington state, which he does. And look at those teeth, and that hair, and that smile! He's like a less vampire-y Edward Cullen.
He is charming. It was years ago, yes, but we all saw Phelps with the stripper in Vegas, right? And Adrian seems particularly homegrown and sweet in contrast to Floridian Ryan Lochte, who has a tendency to say the worst things —women are evil, really?—and let's just not even talk about the fashions or the general "aura" of "Jeah" coming off of him. (His own mother says he only goes on "one night stands.") Of course, maybe Lochte was set up to fail, what with all the pre-Games hype about him as the new golden boy. Fine, fine, let's not judge, let's only note that Adrian does not sport a grill or, apparently, say ridiculous things about women. And when he did win the gold, he appeared completely shocked and humble and thrilled about it. In further comparison, to Phelps, there's an innocence and newness about Adrian's reaction that we crave in our Olympic athletes. Via the A.P., upon his win, "Adrian pounded the water, then put his hands over his eyes while dangling over the lane rope, as if he couldn't believe the '1' beside his name." While of course we admire Phelps, at this point he simply has too many golds for us—or him—to really work up much excitement about another one. Yes, we want our Olympians to win. But we want them to feel the awe and amazement we feel when they do, too.
Don't just take it from us. The Twitterverse agrees that Adrian's reaction to his world record win was graceful, sweet, and even a tad bit adorably awkward, maybe. This is the Olympian who can't even believe he quite deserves it, who's surprised to have seen himself get so far.
The awkward and adorable way that Nathan Adrian reacted to his gold medal just stole my heart #ILoveAwkwardBoys
— AverageGirlProblems (@AverageGirlPrbs) August 2, 2012
He is young. Heartbreakingly, he was born in the all-to-recent year of 1988. But his being young is good, because it means we'll get to see him again, most likely. He's only 23, in four years he'll be the same age that that old man Phelps is this year.
He is good at social media! Social media means we have an insight into Adrian's life, and what we see, we like. He describes himself on Twitter as a "Swimmer, Olympian, Child at heart, and I don't care if you think it is gross to brush my teeth in the shower!" He appears to have a great relationship, maybe even a bit of a bro-mance, going on with his Olympic roommate, swimmer and gold medalist Matt Grevers. Matt made Adrian's bed for him when Adrian won the gold, which we then get to see in a photo tweeted out. Look at that adorable comforter, and the place he rests his Olympic head! Adrian also gets this issue we have with spoilers and, in another tweet, acknowledges our concern. And even when he humblebrags, Instagramming his medals and tweeting "Matt and I are doing alright so far!! #notbadforourtinyroom" we can't help but commend him for his hashtag use.
Between two parts of the page: calculated crystals
+++
An optimized crystal structure of LiNi4P3O12. Source: Materials Project, functional GGA+U. Values from VASP.

Quantum ESPRESSO input file:
```
&SYSTEM
  ibrav = 0, nat = 80, ntyp = 4
/
ATOMIC_SPECIES
Li 6.94 Li.upf
Ni 58.69 Ni.upf
P 30.97 P.upf
O 16.00 O.upf
CELL_PARAMETERS angstrom
7.684 0.000 0.000
0.000 12.994 0.000
0.000 0.000 10.215
ATOMIC_POSITIONS crystal
Li 0.250 0.250 0.225
Li 0.250 0.250 0.725
Li 0.750 0.750 0.275
Li 0.750 0.750 0.775
Ni 0.100 0.661 0.007
Ni 0.100 0.839 0.507
Ni 0.112 0.529 0.298
Ni 0.112 0.971 0.798
Ni 0.388 0.529 0.798
Ni 0.388 0.971 0.298
Ni 0.400 0.661 0.507
Ni 0.400 0.839 0.007
Ni 0.600 0.161 0.993
Ni 0.600 0.339 0.493
Ni 0.612 0.029 0.702
Ni 0.612 0.471 0.202
Ni 0.888 0.029 0.202
Ni 0.888 0.471 0.702
Ni 0.900 0.161 0.493
Ni 0.900 0.339 0.993
P 0.246 0.071 0.071
P 0.246 0.429 0.571
P 0.250 0.750 0.249
P 0.250 0.750 0.749
P 0.254 0.071 0.571
P 0.254 0.429 0.071
P 0.746 0.571 0.929
P 0.746 0.929 0.429
P 0.750 0.250 0.251
P 0.750 0.250 0.751
P 0.754 0.571 0.429
P 0.754 0.929 0.929
O 0.084 0.748 0.164
O 0.084 0.752 0.664
O 0.126 0.087 0.192
O 0.126 0.163 0.577
O 0.126 0.337 0.077
O 0.126 0.413 0.692
O 0.147 0.531 0.101
O 0.147 0.969 0.601
O 0.150 0.063 0.942
O 0.150 0.437 0.442
O 0.248 0.654 0.844
O 0.248 0.846 0.344
O 0.252 0.654 0.344
O 0.252 0.846 0.844
O 0.350 0.063 0.442
O 0.350 0.437 0.942
O 0.353 0.531 0.601
O 0.353 0.969 0.101
O 0.374 0.087 0.692
O 0.374 0.163 0.077
O 0.374 0.337 0.577
O 0.374 0.413 0.192
O 0.416 0.748 0.664
O 0.416 0.752 0.164
O 0.584 0.248 0.836
O 0.584 0.252 0.336
O 0.626 0.587 0.808
O 0.626 0.663 0.423
O 0.626 0.837 0.923
O 0.626 0.913 0.308
O 0.647 0.031 0.899
O 0.647 0.469 0.399
O 0.650 0.563 0.058
O 0.650 0.937 0.558
O 0.748 0.154 0.156
O 0.748 0.346 0.656
O 0.752 0.154 0.656
O 0.752 0.346 0.156
O 0.850 0.563 0.558
O 0.850 0.937 0.058
O 0.853 0.031 0.399
O 0.853 0.469 0.899
O 0.874 0.587 0.308
O 0.874 0.663 0.923
O 0.874 0.837 0.423
O 0.874 0.913 0.808
O 0.916 0.248 0.336
O 0.916 0.252 0.836
```

Output
DFT formation energy (eV/atom): -2.104
Total DFT energy (no corrections) (eV per atom): -6.216
Energy above the most stable polymorph in this dataset (eV per atom): 0.069

=====

The following is a PBE with a Hubbard U calculation of an optimized crystal structure of Li2Mg11W12O48, from the Materials Project. Values from VASP.

Structure (Quantum ESPRESSO input):
```
&SYSTEM
  ibrav = 0, nat = 146, ntyp = 4
/
ATOMIC_SPECIES
Li 6.94 Li.upf
Mg 24.30 Mg.upf
W 183.84 W.upf
O 16.00 O.upf
CELL_PARAMETERS angstrom
10.792 0.000 0.000
0.000 10.513 0.000
0.000 0.161 17.847
ATOMIC_POSITIONS angstrom
Li 5.396 4.121 12.645
Li 0.000 6.594 5.234
Li 5.396 9.344 12.650
Li 0.000 10.102 13.401
Mg 5.396 0.572 4.471
Mg 1.852 1.434 8.414
Mg 8.940 1.434 8.414
Mg 7.301 1.419 17.285
Mg 3.491 1.419 17.285
Mg 0.000 2.348 13.381
Mg 5.396 3.198 4.440
Mg 1.850 3.978 0.503
Mg 8.942 3.978 0.503
Mg 7.304 3.978 9.490
Mg 3.488 3.978 9.490
Mg 5.396 5.826 4.469
Mg 1.873 6.684 8.422
Mg 8.919 6.684 8.422
Mg 3.488 6.678 17.285
+++
![tumblr_m8d4znDHrM1qabos9o3_1280 tumblr_m8d4znDHrM1qabos9o3_1280]()
He is smart. He graduated with honors with a degree in public health from UC Berkeley. And he wants to be—swoon—a doctor. And he's grounded, too. Via USA Today, after his win: "'My life may change now,' Adrian acknowledged. 'I'm just taking it all in for what it is.'"
He is not perfect. He is messy, according to the looks of his room! Our nurturing Olympic-sized hearts are O.K. with that.
He represents diversity. His mother, Cecilia, is Chinese and was born and raised in Hong Kong.
"@paulchi_vaan: @nathangadrian hi nathan i it true that you're half Asian?" absolutely! Half Chinese #hapapride
— Nathan Adrian (@Nathangadrian) July 31, 2012
He seems like he'd be fun to have a drink with. Watch this video of him laughing as he flies a remote-controlled helicopter around a room and show me the man or woman who would say no to a beer with this guy
hahaha he's so nhf him slapping his boobs
Bless this man